File:
********
Entry 1:
Diffraction record for SrUP2H2O10. The PXRD pattern is computed, not measured: it uses a structure optimized by DFT (GGA-PBE) and a wavelength of 1.5418 Å.

Atomic structure:
a = 7.6976 Å, b = 8.3737 Å, c = 9.0457 Å
α = 102.23°, β = 108.41°, γ = 107.15°
Atoms (fractional coordinates):
Sr  0.1870  0.2681  0.0958
Sr  0.8130  0.7319  0.9042
U  0.2706  0.6808  0.5281
U  0.7294  0.3192  0.4719
P  0.2044  0.0098  0.3396
P  0.2607  0.4350  0.7552
P  0.7393  0.5650  0.2448
P  0.7956  0.9902  0.6604
H  0.1181  0.0509  0.4512
H  0.2867  0.2749  0.7057
H  0.7133  0.7251  0.2943
H  0.8819  0.9491  0.5488
O  0.0606  0.9814  0.1658
O  0.0810  0.4288  0.6081
O  0.2012  0.7277  0.0109
O  0.2317  0.4469  0.9146
O  0.2452  0.8439  0.3584
O  0.2616  0.5024  0.3643
O  0.2640  0.8523  0.6850
O  0.3968  0.1744  0.3924
O  0.4368  0.5877  0.7596
O  0.4452  0.0885  0.9775
O  0.5548  0.9115  0.0225
O  0.5632  0.4123  0.2404
O  0.6032  0.8256  0.6076
O  0.7360  0.1477  0.3150
O  0.7384  0.4976  0.6357
O  0.7548  0.1561  0.6416
O  0.7683  0.5531  0.0854
O  0.7988  0.2723  0.9891
O  0.9190  0.5712  0.3919
O  0.9394  0.0186  0.8342

Largest 8 diffraction maxima, in order of rising 2θ, 10° ≤ 2θ ≤ 90°:
d [Å]	2θ/deg	I_rel	index
8.083	10.95	58.9	0 0 1
6.761	13.09	38.1	0 1 -1
5.287	16.77	100.0	-1 1 1
3.584	24.84	33.1	-1 1 2
3.362	26.51	41.3	2 0 0
3.221	27.69	32.0	1 1 1
3.033	29.45	29.4	1 -2 2
3.007	29.71	32.0	1 2 -2

---

Entry 2:
Diffraction record for SrZnP2H2O8. The PXRD pattern is computed, not measured: it uses a structure optimized by DFT (GGA-PBE) and a wavelength of 1.5418 Å.

Atomic structure:
a = 7.3030 Å, b = 7.8966 Å, c = 7.9375 Å
α = 97.50°, β = 107.37°, γ = 100.56°
Atoms (fractional coordinates):
Sr  0.0973  0.0201  0.2784
Sr  0.9027  0.9799  0.7216
Zn  0.0919  0.5236  0.2805
Zn  0.9081  0.4764  0.7195
P  0.2279  0.3242  0.9791
P  0.2415  0.7819  0.6596
P  0.7585  0.2181  0.3404
P  0.7721  0.6758  0.0209
H  0.4110  0.8254  0.8126
H  0.4126  0.3518  0.9547
H  0.5874  0.6482  0.0453
H  0.5890  0.1746  0.1874
O  0.0624  0.7104  0.7195
O  0.0732  0.3106  0.7901
O  0.1838  0.1433  0.0320
O  0.2065  0.9519  0.5914
O  0.2365  0.4828  0.1174
O  0.2750  0.6403  0.5249
O  0.3870  0.8577  0.2126
O  0.4087  0.2817  0.5302
O  0.5913  0.7183  0.4698
O  0.6130  0.1423  0.7874
O  0.7250  0.3597  0.4751
O  0.7635  0.5172  0.8826
O  0.7935  0.0481  0.4086
O  0.8162  0.8567  0.9680
O  0.9268  0.6894  0.2099
O  0.9376  0.2896  0.2805

Largest 8 diffraction maxima, in order of rising 2θ, 10° ≤ 2θ ≤ 90°:
d [Å]	2θ/deg	I_rel	index
6.775	13.07	100.0	1 0 0
3.712	23.97	27.7	0 0 2
3.333	26.75	22.3	1 -2 1
3.161	28.23	17.9	1 2 -1
3.056	29.22	20.7	2 0 -2
2.966	30.13	14.6	0 2 -2
2.879	31.06	18.5	1 0 2
2.546	35.26	15.4	1 2 1

* * * * *

Diffraction record for AgTe2NCl. The powder X-ray diffraction pattern is calculated, not measured: it uses the PBE geometry in Alexandria and Cu Kα, 1.54184 Å.

Largest 10 diffraction maxima, in order of falling intensity, 10 to 80 degrees two-theta:
- 31.36°, rel. 100
- 22.66°, rel. 64
- 39.04°, rel. 63
- 31.82°, rel. 39
- 44.95°, rel. 36
- 56.97°, rel. 34
- 27.59°, rel. 30
- 50.91°, rel. 30
- 15.53°, rel. 26
- 66.49°, rel. 21

Cell and atoms:
abc: 5.704 5.704 3.924
angles: 90.00 90.00 90.00
Space group P4/mmm (No. 123)
Symmetry-distinct sites (fractional):
Ag (0.000, 0.000, 0.000)
Te (0.000, 0.500, 0.000)
N (0.000, 0.000, 0.500)
Cl (0.500, 0.500, 0.500)



Diffraction record for Y6TlPd. The powder X-ray diffraction pattern is calculated, not measured: it uses the PBE geometry in Alexandria and Cu Kα, 1.54184 Å.

Largest 10 diffraction maxima, in order of falling intensity, 10 to 80 degrees two-theta:
- 29.15°, rel. 100
- 24.44°, rel. 57
- 17.42°, rel. 56
- 30.66°, rel. 41
- 39.21°, rel. 37
- 44.07°, rel. 32
- 39.12°, rel. 28
- 39.94°, rel. 20
- 44.15°, rel. 16
- 39.30°, rel. 14

Cell and atoms:
abc: 7.107 7.114 7.276
angles: 90.15 119.04 119.88
Space group P-1 (No. 2)
Symmetry-distinct sites (fractional):
Y (0.033, 0.070, 0.255)
********
Assignment:
Your job: duplicate the lines further above from the one with "0.1174" to the one with "44.15°, rel." character by character.
Done:
O  0.2365  0.4828  0.1174
O  0.2750  0.6403  0.5249
O  0.3870  0.8577  0.2126
O  0.4087  0.2817  0.5302
O  0.5913  0.7183  0.4698
O  0.6130  0.1423  0.7874
O  0.7250  0.3597  0.4751
O  0.7635  0.5172  0.8826
O  0.7935  0.0481  0.4086
O  0.8162  0.8567  0.9680
O  0.9268  0.6894  0.2099
O  0.9376  0.2896  0.2805

Largest 8 diffraction maxima, in order of rising 2θ, 10° ≤ 2θ ≤ 90°:
d [Å]	2θ/deg	I_rel	index
6.775	13.07	100.0	1 0 0
3.712	23.97	27.7	0 0 2
3.333	26.75	22.3	1 -2 1
3.161	28.23	17.9	1 2 -1
3.056	29.22	20.7	2 0 -2
2.966	30.13	14.6	0 2 -2
2.879	31.06	18.5	1 0 2
2.546	35.26	15.4	1 2 1

* * * * *

Diffraction record for AgTe2NCl. The powder X-ray diffraction pattern is calculated, not measured: it uses the PBE geometry in Alexandria and Cu Kα, 1.54184 Å.

Largest 10 diffraction maxima, in order of falling intensity, 10 to 80 degrees two-theta:
- 31.36°, rel. 100
- 22.66°, rel. 64
- 39.04°, rel. 63
- 31.82°, rel. 39
- 44.95°, rel. 36
- 56.97°, rel. 34
- 27.59°, rel. 30
- 50.91°, rel. 30
- 15.53°, rel. 26
- 66.49°, rel. 21

Cell and atoms:
abc: 5.704 5.704 3.924
angles: 90.00 90.00 90.00
Space group P4/mmm (No. 123)
Symmetry-distinct sites (fractional):
Ag (0.000, 0.000, 0.000)
Te (0.000, 0.500, 0.000)
N (0.000, 0.000, 0.500)
Cl (0.500, 0.500, 0.500)



Diffraction record for Y6TlPd. The powder X-ray diffraction pattern is calculated, not measured: it uses the PBE geometry in Alexandria and Cu Kα, 1.54184 Å.

Largest 10 diffraction maxima, in order of falling intensity, 10 to 80 degrees two-theta:
- 29.15°, rel. 100
- 24.44°, rel. 57
- 17.42°, rel. 56
- 30.66°, rel. 41
- 39.21°, rel. 37
- 44.07°, rel. 32
- 39.12°, rel. 28
- 39.94°, rel. 20
- 44.15°, rel. 16